**Listing:**
=====
ScOsC3 after structural relaxation, computed with PBE.

abc: 4.005 4.005 4.005
angles: 90.00 90.00 90.00
Element x y z (fractional)
Sc 0.000 0.000 0.000
C 0.000 0.500 0.000
C 0.000 0.000 0.500
C 0.500 0.000 0.000
Os 0.500 0.500 0.500

The value obtained for the formation energy is 3.023 eV per atom. The density of states at the Fermi level comes out at 0.9122 states/eV/atom.

---

ClF after structural relaxation, computed with PBE.

abc: 6.531 12.577 10.320
angles: 90.00 90.00 90.00
Element x y z (fractional)
Cl 0.750 0.501 0.250
F 0.500 0.000 0.654
F 0.500 0.500 0.154
Cl 0.250 0.001 0.250
F 0.250 0.250 0.596
Cl 0.000 0.249 0.500
Cl 0.250 0.999 0.750
F 0.000 0.500 0.346
Cl 0.500 0.251 0.500
F 0.500 0.000 0.346
F 0.750 0.250 0.096
F 0.750 0.250 0.404
Cl 0.500 0.751 0.000
Cl 0.000 0.251 0.000
F 0.250 0.750 0.096
Cl 0.750 0.001 0.750
Cl 0.250 0.499 0.250
F 0.500 0.500 0.846
F 0.750 0.750 0.596
Cl 0.000 0.749 0.000
Cl 0.750 0.999 0.250
Cl 0.250 0.501 0.750
Cl 0.500 0.249 0.000
F 0.250 0.250 0.904
F 0.000 0.500 0.654
Cl 0.500 0.749 0.500
F 0.250 0.750 0.404
F 0.750 0.750 0.904
Cl 0.750 0.499 0.750
F 0.000 0.000 0.154
F 0.000 0.000 0.846
Cl 0.000 0.751 0.500

As for the raw formation energy: -275 meV/atom.

---

Rb2MnGaBr6 after structural relaxation, computed with PBE.

abc: 7.667 7.667 7.670
angles: 60.01 60.01 90.00
Each line ends with the local moment (μB).
Element x y z (fractional)
Ga 0.000 0.000 0.000  -0.12
Br 0.256 0.744 0.000  0.00
Br 0.256 0.256 0.000  0.00
Br 0.744 0.256 0.000  0.00
Br 0.256 0.256 0.488  0.00
Mn 0.500 0.500 0.000  4.14
Br 0.744 0.744 0.512  0.00
Br 0.744 0.744 0.000  0.00
Rb 0.750 0.250 0.500  0.00
Rb 0.250 0.750 0.500  0.00

The density of states at the Fermi level comes out at 0.2322 states/eV/atom. As for the raw formation energy: -1124 meV/atom.

---

CaBeS2 after structural relaxation, computed with PBE.

abc: 7.009 7.009 7.009
angles: 35.67 35.67 35.67
Element x y z (fractional)
Be 0.000 0.000 0.000
S 0.095 0.095 0.095
Ca 0.500 0.500 0.500
S 0.905 0.905 0.905

The density of states at the Fermi level comes out at 0.0000 states/eV/atom. As for the raw formation energy: -1311 meV/atom.

---

CrInAsPb2 after structural relaxation, computed with PBE.

abc: 5.784 5.145 5.784
angles: 90.00 90.00 90.00
Each line ends with the local moment (μB).
Element x y z (fractional)
Cr 0.500 0.500 0.500  4.25
Pb 0.000 0.000 0.500  -0.03
In 0.000 0.000 0.000  0.01
As 0.000 0.500 0.000  -0.04
Pb 0.500 0.000 0.000  -0.02

The value obtained for the formation energy is 0.988 eV per atom. The density of states at the Fermi level comes out at 0.5951 states/eV/atom.

---

BiN4 after structural relaxation, computed with PBE.

abc: 4.614 4.614 4.614
angles: 90.00 90.00 90.00
Each line ends with the local moment (μB).
Element x y z (fractional)
N 0.000 0.000 0.000  1.89
N 0.000 0.500 0.500  1.12
Bi 0.500 0.500 0.500  -0.11
N 0.500 0.500 0.000  1.12
N 0.500 0.000 0.500  1.12

The density of states at the Fermi level comes out at 0.5137 states/eV/atom. As for the raw formation energy: 3269 meV/atom.

---

CeBF6 after structural relaxation, computed with PBE.

abc: 4.453 4.453 4.451
angles: 99.95 99.95 99.97
Each line ends with the local moment (μB).
Element x y z (fractional)
F 0.433 0.766 0.766  0.00
F 0.234 0.234 0.567  0.00
Ce 0.000 0.000 0.000  0.97
F 0.766 0.433 0.766  0.00
F 0.567 0.234 0.234  0.00
F 0.766 0.766 0.433  0.00
F 0.234 0.567 0.234  0.00
B 0.500 0.500 0.500  0.00

The density of states at the Fermi level comes out at 1.0194 states/eV/atom. As for the raw formation energy: -3029 meV/atom.

---

AlTlCd after structural relaxation, computed with PBE.

abc: 3.127 4.038 12.413
angles: 109.23 90.35 90.22
Element x y z (fractional)
Tl 0.150 0.749 0.505
Al 0.105 0.443 0.700
Cd 0.118 0.407 0.164
Cd 0.627 0.062 0.318
Tl 0.597 0.720 0.978
Al 0.610 0.026 0.782

The value obtained for the formation energy is 0.156 eV per atom. The density of states at the Fermi level comes out at 0.4132 states/eV/atom.

---
=====

**Activity:**
Return every line above that contains the word "abc", please.

**Completed:**
abc: 4.005 4.005 4.005
abc: 6.531 12.577 10.320
abc: 7.667 7.667 7.670
abc: 7.009 7.009 7.009
abc: 5.784 5.145 5.784
abc: 4.614 4.614 4.614
abc: 4.453 4.453 4.451
abc: 3.127 4.038 12.413